Saturday, January 20, 2018


Image result for sarah sanders clueless image

I need a caption for this pic.

*Pic from


  1. Not a chance grandpa!

    1. This comment has been removed by the author.

    2. This comment has been removed by the author.

    3. Keep the niggers gay as fuck and their paws off human women. They are dirty, diseased, poor, and chimpy.
      They really are just like little retarded monkeys
      0¥ VE¥! π muh nigger

    4. Keep the niggers gay as fuck and their paws off human women. They are dirty, diseased, poor, and chimpy.
      They really are just like little retarded monkeys
      0¥ VE¥! π muh nigger

  2. Anonymous8:46 PM

    Field Negro is a childless, degenerate pervert who cannot fathom normal familial relationships. Sad.

  3. Trevor Noah9:09 PM


  4. Trevor Noah9:20 PM

    Obama bangs his daughter Sasha with a strap-on dildo.

  5. Anonymous9:45 PM

    Trump thought bubble: “Ahhhh, soft and nice-smelling. Just like Stormy Daniels ... only better.”

  6. Anonymous9:50 PM

    Ivanka bangs trump with a strap on.

  7. Men are disturbed, not by things, but by the principles and notions which they form concerning things. When therefore we are hindered, or disturbed, or grieved, let us never attribute it to others, but to ourselves; that is, to our own principles.

  8. "We'll start the bidding at..."

    -Doug in Oakland

  9. Imagine being the King Mulatto and having your entire legacy disassembled before your eyes because you roasted someone and didn't give them an immediate chance to roast back.

  10. Anonymous1:48 AM

    ”Imagine being the King Mulatto and having your entire legacy disassembled before your eyes because you roasted someone and didn't give them an immediate chance to roast back.”

    Imagine being such a dumb redneck that you actually voted for a joke candidate who doesn’t know how to be president and who is so psychologically disturbed he only ran for office out of spite because someone hurt his fee-fees.

    Not really something to be proud of, eh?

  11. trump is a fuckboi1:57 AM

    Not really something to be proud of, eh?
    If you're a snowflake fuckboi it is.

  12. Slavic Steel2:05 AM

    Francis Ngannou learned a hard lesson today: Bad-mouth Trump and you get humbled.

  13. Anonymous6:34 AM

    Damn, Stipe Miocic whooped that little punkass black boy's ASS tonight!

    Where's your black power now, bitches? Ha ha ha ha ha ha ha ha ha ha!

  14. Anonymous6:36 AM

    Feelz is da kang oved da whirled! anz I meens its!

  15. Anonymous6:36 AM

    That girl looks so happy. The God Emperor chose her; her mission in life has been fulfilled.

    She will now go make lots of beautiful white babies.


  16. Anonymous6:44 AM

    @ anon 6:36 am-

    White babies are the most beautiful creatures on Earth. Their hair is so soft, their eyes so inquisitive, so intelligent. My cousin (we call her 'Fat Becky', LOL) had a baby with a black gang banger, and that thing is just a holy terror. Three years old and still craps its pants. It screams like a monkey, too. Who knows where the dad even went. So sad.

  17. Black is beautiful7:04 AM

    White babies are the most beautiful creatures on Earth. Their hair is so soft, their eyes so inquisitive, so intelligent.
    Great, now we get Roy Moore pedophiles posting. That baby craps its pants because it has your family genes. You still crap your pants at 15 sooooooo what does that say about you? You smell like a monkey and we know where your uncle/daddy is. And it's nice to finally see someone in your family actually breed with someone not a close relative. Now that's progress.

  18. Anonymous7:06 AM

    Ha ha! The ignoramous cadet tries to put his bone spur in his daughter.

  19. Anonymous7:08 AM

    trump shows his poor white voters he's one of them by screwing his daughter.

    trump 2020

  20. Hey, I was the first one in. Who's next?

  21. Once a perv.......

    Did I ever tell you she is the most eminently fuckable grope toy I have? Haven't told you that one, yet?

  22. Anonymous Anonymous said...

    Proof that between 1980 and 2008, Blacks committed 52% of all homicides in the United States.

    I'd tell you to stick to the subject, but you are already so covered with Drumpfuck's bodily fluids your stuck tight to his little stumpy Drumpfy dick..

  23. Lilacpr9:31 AM

    Not to worry ivanka dear, government may close but we're rich so who cares!

  24. Lilacpr9:37 AM

    Not to worry deary, let em eat cake!

  25. Anonymous9:50 AM

    "stick to the subject"

    The subject's not interesting. Getting real information out there is. :D

    I know Whites come to this blog, perhaps some of them have never seen *real* data about Black dysfunction. Now's their chance. Yay!

  26. johnomason10:39 AM

    Hey, baby, how's you like to be in my cabinet?

  27. A Clockwork Watermelon1:31 PM

    Yes, yes we will release the memo that destroys the Democrats.

  28. "Field Negro is a childless, degenerate pervert who cannot fathom normal familial relationships. Sad."

    What's the weather like in Moscow?

  29. Anonymous2:12 PM

    @ Field Negro:

    -3 C and light snow.

    How is weather in Nigeria, Comrade Onyx?

    Age of consent there, good ja?

  30. Anonymous A Clockwork Watermelon said...

    Yes, yes we will release the memo that destroys the Democrats.

    Bwahahahahahahahahahahahaha! Yer memo, comrade, has been debunked. It is a smear campaign and there is no serious substance to it. Typical wingnut ploy. Pretend to have serious incriminating stuff and then hide behind top secret tag so the memo never sees the light of day. Just stoopid fucking wingnut innuendo.

  31. Anonymous3:17 PM

    A Racial Lesson for Western Civilization:

    Built in 1905 when Camden was 100% White, the Carnegie Library Lays in Ruins in now 96% Non-White Camden

    What becomes of white civilization - western civilization - when white people abandon what their ancestors created?

    Camden, New Jersey tells us the tragic lesson, where a tree growing inside a long-abandoned library is symbolic of the desolation of western civilization once non-whites inherit what they had no hand in building.

    What they are incapable of maintaining.

    The roof is gone on the Carnegie Library in now 96% non-white Camden
    In 2018, Camden is nearly 96 percent non-white (49% Hispanic/ 42% black), requiring hundreds of millions of loans, grants, and aid from the taxpayers of New Jersey over the past decades to pay for services, employees, and infrastructure fixes the almost entirely non-white tax-base of the city can't provide.

    In 1900, the city was almost 100 percent white, a growing metropolis and a vital contributor to the American economy with an innovative business sector burgeoning. By 1940, Camden was 90 percent white and absolutely thriving.

    But as the demographics slowly shifted, and white people abandoned the city, the quality of life regressed to the black (and brown) mean.

    What better illustrates the demise of white civilization in Camden then the Camden Free Library Building, built in 1905 when the city was nearly 100 percent white?

    The Library Committee of City Council, on February 24th, adopted a resolution presented by Councilman Charles Ellis, formally accepting Andrew Carnegie’s offer of $100,000 for a public library in Camden. On April 28, 1903 the Free Library Trustees recommended the purchase of the Dialogue property, at Broadway and Line Street, 80 x 1600 feet, for the new Carnegie Library. The sum asked was $15,0900 and on November 4, 1903 the property was obtained for that sum.

    Inside the roofless library, trees grow among the ruins...

    Camden Free Library Building, built with money donated by Andrew Carnegie, Broadway and Line Street, opened to the public on June 27, 1905. 7,000 books were on the shelves. The cost of the building was about $86,000. Carnegie's donation eventually came to $120,000.

    Sadly in the years between 1986 and 2004 the Carnegie Library stood as a symbol of much that was wrong with Camden - physical decay, political inertia, and an indifference to both the heritage of the past and the need to instill a love of books and learning in Camden's children. A few interested parties attempted to get government help in preserving the building, but met with little success.

    For the benefit of not just maintaining, but advancing white civilization.
    Today, in less than four percent white Camden, the building is abandoned, though on the ornate facade the names of great white authors (Chaucer, Irving, and Hawthorne) are inscribed, a visible reminder for the city's almost entirely non-white population of just who the Carnegie Library was built for and whom was expected to help grow the community for centuries to come.

    But in the span of a century, Camden went from nearly 100 percent white to, in 2018, almost less than four percent white.

    Buildings, especially those built long ago, have a way of speaking for the dead.
    Built when white people were not just optimistic about their future (and their posterities), but desirous to advance western civilization, the Carnegie Library in 2018 is derelict and in ruin, a visible reminder of the true theme running through H.P. Lovecraft's horror fiction; the consequences of racial degeneracy, amalgamation, and, worse, the inability of those watching it all unfold to confront the evil.

    Reminders of the civilization white people long ago built in Camden are still visible, though the ruin, decay and their degradation is a visible indication of what happens to western civilization in the hands of non-whites.

    In now 96 percent non-white Camden, America's future as white people become a racial minority are on full display.

  32. Anonymous3:26 PM

    Anon @3:17

    Too long, too racist; didn’t read.

  33. Ao what Anymoose is trying to say is the library decayed because wasicu wasteys abandoned it and let it go to waste.

    Had the building been of any interest, it should have been put on the register of historic places and saved. But it is easier for Anymoose to shift the blame to minorities because that is the way his stick floats. Everything bad is the fault of people of color. Wah, fucking, wah!

  34. Anonymous3:30 PM

    @ Anonymous 3:26 PM,

    Quite alright, I make allowances for those with short attention spans and limited vocabulary.

    To summarize: non-Whites are a pestilence. A non-contributing, non-innovating, parasitic, pestilence.

    Short enough for you? :D

  35. Anonymous3:37 PM

    @ Mike from Iowa:

    Actually, let's be clear on this. You're saying that because your kind brought crime and filth to Camden, which led to Whites leaving, that they [Whites] should have continued to subsidize the locations *in* Camden, just so your lot could cover them in graffiti and generally vandalize them, while getting no use out of them themselves?

    Simply because you bunch cannot manage a city or pay your way?

    Damn, you have issues. :)

  36. White babies make a neat noise when the hogs eat them...

    -Doug in Oakland


    Wasicu wasteys started this.

  38. The city was consistently prosperous throughout the Great Depression and World War II. After World War II, Camden manufacturers began gradually closing their factories and moving out of the city. With the loss of manufacturing jobs came a sharp decline in population numbers. Suburbanization also influenced the drop in population. Civil unrest and crime became common in Camden. In 1971, civil unrest reached its peak with riots breaking out in response to the death of Horacio Jimenez, a Puerto Rican motorist who was killed by two white police officers.[30] from Wiki

    I'm saying whites and their racist police are the culprits. Admit it- you and your racist buds are the problem.

    Look around and you see empirical evidence that whites can easily co-exist with POC unless the whites are Klansmen, or white nationalists or wingnuts.

  39. I noticed how many Jews black or hispanic Hitler slaughtered. Same with black/hispanic Stalin, Attila the Hun, Genghis Khan, Caesar, the English, French and Spanish empire builders. Minorities every one, right, stoopid?

  40. Anonymous4:05 PM

    @ Mike from Iowa:

    Almost no comparison. Out of the eight, only one even qualifies as a close comparison. Rosewood, and even that is pushing it as the town was co-founded by Whites and Blacks.

    The rest are race wars and skirmishes in White cities.

    So you're whole attempt at a rebuttal is just a single town of a few hundred, that claims to have been self-sufficient? Camden, New Jersey has about 75,000. Mostly non-White. And it cannot pay its way at all.

    So what happened from then and now?

    Let me guess, a non-White city like Camden is still being plagued with racism. If Whites were not in the United States, you'd be fine.

    But, that doesn't play out either, since you just mentioned earlier you needed Whites to pay for buildings you deem "not important".

    Try harder.

  41. Anonymous4:15 PM

    So, Whites are responsible for the economic pit Camden is today? Because of what occurred in the 1970's.

    Um. No. non-Whites are responsible for that. They apparently lack the capacity to run a city without blaming their many failures on Whites.

  42. Anonymous4:16 PM

    Chicago January 2018 to Date
    Shot & Killed: 23
    Shot & Wounded: 116
    Total Shot: 139
    Total Homicides: 26

  43. How many Superfund waste dumps belonged to blacks? How many black owned industries polluted the Cayuhoga River and made it burn? How many pipeline spills are blacks credited with? How about Hispanics?

    Yer problem Anymoose is white flight. They create the mess and then abandon them to anyone who can't afford to move somewhere else. You can make book there won't be any smokestack industries, no refineries, no packing plants in affluent white neighborhoods. You will find plenty racists and racist cops.

  44. Anonymous4:17 PM

    Black Baby thrown from balcony in South Shore in serious condition:

  45. Anonymous4:24 PM

    @ Anonymous 4:17 PM -

    I'll lay odds what color the pitcher was.

    Hint: Since ABC is Left-leaning, and they don't go out of their way to identify the mother's race, etc. That the pitcher was a Black guy.

  46. Anonymous4:32 PM

    Wow. ;) Beginning to delete my posts hm? Guess your "kinq of squat" doesn't like certain truths.


    Fake Noize reporting on white guy molesting a horse repeatedly. Gotta be a Drumpf supporter and won't take Nay for an answer.

  48. Anonymous5:48 PM

    @ Mike from Iowa:

    I can play that game too.

    Just so the White guy doesn't get lonely, here's a Black guy arrested for raping a horse, and they interview him. :) And yes, it's a news broadcast, just happens to be posted to YouTube.

    Your post still doesn't prove non-Whites can run any sort of sustainable government.

  49. Your post still doesn't prove non-Whites can run any sort of sustainable government.

    Your post doesn't prove whitey wingnuts can run any gubmint.


    mules, men and watermelons for whitey wingnut candidate for Georgia governor.

  51. A Clockwork Watermelon8:30 PM

    Tick... Tick... Tick... Soon Memo time.

  52. Anonymous8:32 PM

    Boko Haram in 2020

  53. Anonymous9:13 PM

    I'd tell you to stick to the subject, but you are already so covered with Drumpfuck's bodily fluids your stuck tight to his little stumpy Drumpfy dick..
    This is what happens when you deal with the supposed superior race.

- - -
# C26H25NO2

A 2-piece molecular cluster, C26H25NO2 overall (ωB97M-V/def2-TZVPD, the OMol25 dataset).

CARTESIAN COORDINATES (ANGSTROEM)
C1 4.36072 -3.30142 1.28489
C2 3.35399 -3.43528 2.22384
C3 2.33790 -2.51412 2.27950
C4 2.32914 -1.41582 1.40979
C5 1.25231 -0.42226 1.44855
C6 -0.07829 -0.87697 1.44113
C7 -1.16407 -0.06539 1.55735
C8 -2.51787 -0.52141 1.52334
C9 -3.55305 0.42105 1.56774
C10 -4.86654 0.02345 1.49451
C11 -5.18331 -1.32022 1.38977
C12 -4.17624 -2.26897 1.35955
C13 -2.86043 -1.87848 1.42653
C14 1.59448 1.00578 1.48779
C15 1.04401 1.92531 0.58421
C16 1.41709 3.24584 0.62237
C17 2.32040 3.68843 1.57072
C18 2.86554 2.79906 2.47752
C19 2.52957 1.46946 2.42468
C20 3.37334 -1.28067 0.48576
C21 4.36117 -2.22968 0.41058
H1 5.13479 -4.04590 1.21898
H2 3.35806 -4.26494 2.91120
H3 1.55631 -2.59749 3.01542
H4 -0.23227 -1.93299 1.32629
H5 -1.00569 0.99127 1.66222
H6 -3.30352 1.46395 1.66102
H7 -5.65228 0.76219 1.52392
H8 -6.21496 -1.63143 1.33944
H9 -4.42135 -3.31769 1.28758
H10 -2.09345 -2.63204 1.41692
H11 0.34953 1.57161 -0.15797
H12 1.00260 3.93565 -0.09300
H13 2.58071 4.73200 1.61899
H14 3.55001 3.14936 3.23145
H15 2.96110 0.76960 3.12106
H16 3.36448 -0.44170 -0.18956
H17 5.12305 -2.14514 -0.34618
O1 0.06537 -1.32230 -4.91956
C22 0.67106 -0.67542 -4.06852
C23 -0.14893 0.31119 -3.25015
C24 -0.38776 1.63422 -3.99476
C25 -1.83981 2.05364 -3.66089
C26 -2.39556 0.94017 -2.75201
N1 -1.49021 -0.21080 -2.91425
O2 1.87329 -0.71262 -3.80749
H18 0.38540 0.50264 -2.31048
H19 0.34186 2.39605 -3.69849
H20 -0.26449 1.45909 -5.06890
H21 -1.87595 3.02954 -3.16037
H22 -2.43940 2.13717 -4.57646
H23 -2.39926 1.25586 -1.70206
H24 -3.41959 0.64698 -3.01216
H25 -1.47302 -0.85939 -2.12134

Cartesian forces (eV/Å) of the 3 atoms listed first:
0.02 -0.05 -0.13
0.05 -0.21 0.19
-0.48 0.37 -0.18

orbital gap: 2.561 eV
LUMO level: -3.43 eV
HOMO: -6.0 eV
calculated total energy: -32949.100 eV
energy relative to the best compared isomer or geometry (same formula, charge and spin): 2.292 eV


# C18H18FN5O2S

One molecule with the formula C18H18FN5O2S (ωB97M-V/def2-TZVPD, the OMol25 dataset).

CARTESIAN COORDINATES (ANGSTROEM)
C1 -4.19684 -1.53699 -0.88408
S1 -3.29582 -3.05918 -0.58038
O1 -4.20102 -4.16083 -0.45416
O2 -2.21265 -3.18255 -1.50786
N1 -2.70662 -2.77040 0.98140
C2 -1.61611 -1.94040 1.05109
N2 -0.54985 -2.18911 1.84878
C3 0.24440 -1.15971 1.60584
N3 -0.32335 -0.32779 0.71572
N4 -1.53237 -0.83292 0.34802
C4 0.28106 0.84780 0.15161
C5 -0.73858 1.94452 -0.02857
C6 -0.73847 2.72019 -1.17976
C7 -1.65849 3.73997 -1.34411
C8 -2.58312 3.96683 -0.34164
F1 -3.48655 4.95615 -0.49514
C9 -2.60828 3.20725 0.81394
C10 -1.67646 2.19771 0.96522
C11 1.39796 1.28186 1.11205
C12 2.28572 0.08772 1.50666
C13 3.03092 -0.44659 0.29768
C14 2.59829 -1.55884 -0.41117
C15 3.29224 -1.98924 -1.53004
C16 4.42373 -1.31430 -1.95160
C17 4.86405 -0.20581 -1.24709
C18 4.17227 0.22333 -0.12990
N5 1.44358 -0.88315 2.17865
H1 -3.49180 -0.73381 -0.71010
H2 -5.02491 -1.50847 -0.19032
- - -

  54. Human women are great and sheboons stink like sheeeit! π O¥ V€Y!

  55. and sheboons stink like sheeeit!

    Actually, that is yer breath blowing back in your face after you sucked Drumpfuck's orange ass.
